Next, duplicate all of the listing further below character by character.

/*
# 1
{
  "formula": "C13H52N26O13",
  "method": "the ωB97M-V functional and the def2-TZVPD basis",
  "largest_force_ev_per_a": 10.10,
  "energy_ha": -2928.39521,
  "orbital_gap_ev": [8.05, 2.71],
  "lumo_ev": [-2.3, -7.7],
  "relative_energy_kcal_mol": 12.99,
  "spin_multiplicity": 2,
  "s_squared": 0.767,
  "total_charge": 1,
  "species": ["C", "O", "N", "N", "H", "H", "H", "H", "C", "O", "N", "N", "H", "H", "H", "H", "C", "O", "N", "N", "H", "H", "H", "H", "C", "O", "N", "N", "H", "H", "H", "H", "C", "O", "N", "N", "H", "H", "H", "H", "C", "O", "N", "N", "H", "H", "H", "H", "C", "O", "N", "N", "H", "H", "H", "H", "C", "O", "N", "N", "H", "H", "H", "H", "C", "O", "N", "N", "H", "H", "H", "H", "C", "O", "N", "N", "H", "H", "H", "H", "C", "O", "N", "N", "H", "H", "H", "H", "C", "O", "N", "N", "H", "H", "H", "H", "C", "O", "N", "N", "H", "H", "H", "H"],
*/

# 1
{
  "formula": "C13H52N26O13",
  "method": "the ωB97M-V functional and the def2-TZVPD basis",
  "largest_force_ev_per_a": 10.10,
  "energy_ha": -2928.39521,
  "orbital_gap_ev": [8.05, 2.71],
  "lumo_ev": [-2.3, -7.7],
  "relative_energy_kcal_mol": 12.99,
  "spin_multiplicity": 2,
  "s_squared": 0.767,
  "total_charge": 1,
  "species": ["C", "O", "N", "N", "H", "H", "H", "H", "C", "O", "N", "N", "H", "H", "H", "H", "C", "O", "N", "N", "H", "H", "H", "H", "C", "O", "N", "N", "H", "H", "H", "H", "C", "O", "N", "N", "H", "H", "H", "H", "C", "O", "N", "N", "H", "H", "H", "H", "C", "O", "N", "N", "H", "H", "H", "H", "C", "O", "N", "N", "H", "H", "H", "H", "C", "O", "N", "N", "H", "H", "H", "H", "C", "O", "N", "N", "H", "H", "H", "H", "C", "O", "N", "N", "H", "H", "H", "H", "C", "O", "N", "N", "H", "H", "H", "H", "C", "O", "N", "N", "H", "H", "H", "H"],